[Exercise]
Quote the notes further down from the line with "-4.82874 2.89030" to the end verbatim, please.

[Data]
Entry 1:
ORCA calculation (ωB97M-V/def2-TZVPD) on a molecular structure, C33H24ClF9IN3NaO2P.

The gap between HOMO and LUMO comes out at 8.758 eV. As for the energy above the lowest of the compared OMol25 structures with the same formula, charge and spin: 8.9 kcal/mol. The total energy comes out at -101965.2481 eV.

Geometry as XYZ:
```
75
Properties=species:S:1:pos:R:3:mulliken_charge:R:1
H -2.79844 -2.34337 1.66574 0.42
C 0.92021 5.30283 -1.99774 0.31
H -0.60605 0.51409 5.20297 0.41
H -3.00377 0.50302 4.59328 0.42
N 2.69514 0.40019 0.43880 0.11
N 3.18370 -6.35037 -0.43929 -0.35
H 2.33133 -6.46781 0.07583 0.18
C -4.82874 2.89030 -0.38893 -0.70
C -2.59059 -1.89049 -0.42565 0.49
H 3.80209 -7.13743 -0.53711 0.25
H 6.54746 0.69705 0.66473 0.42
C -3.17433 -4.06125 0.44351 -0.76
H 5.06289 2.59281 1.34639 0.48
H -2.42065 -1.76828 -2.56329 0.44
H -4.93283 -0.95562 -0.51642 0.47
N 0.61463 -2.02296 -1.03408 0.30
C 5.47056 0.61314 0.60629 -0.36
C 1.07873 5.50165 0.51567 0.45
F 1.64957 6.70987 0.62545 -0.29
H 1.11341 0.23118 3.43615 0.50
H 0.47447 -0.07565 1.12987 0.11
C -3.24261 -4.56438 -0.84660 -0.51
C 1.56075 4.67287 -0.71756 1.13
C -4.89957 0.12536 -0.48142 -0.33
H -7.01643 0.33177 -0.70911 0.41
C -2.24835 0.36578 3.83013 -0.70
H 1.18504 -1.57742 -2.95868 0.45
C 3.11407 4.82877 -0.83253 0.38
C -6.07438 0.85049 -0.58976 -0.92
C -0.31947 0.03633 1.86256 0.16
C 4.87025 -0.54609 0.13983 -0.51
C 0.05968 0.20981 3.18755 -0.90
O 1.20730 3.40682 -0.59460 -1.08
C -2.64972 -2.40748 -1.71834 -0.43
C -2.98341 -3.73521 -1.92855 -0.68
H 2.60864 2.33138 1.14456 0.73
P -2.08778 -0.15524 -0.25062 0.31
H 1.71887 -4.55273 0.86600 0.34
C -2.63037 0.19521 2.50869 -0.10
H 0.17885 -2.62533 0.87901 0.31
C 3.48747 -0.60354 0.07814 0.96
C -1.66712 0.02295 1.51408 0.58
C -3.66102 2.15116 -0.28990 0.49
H 2.80441 -3.47159 -3.14091 0.50
H -4.77832 3.96966 -0.35027 0.50
Cl -2.17515 3.05198 -0.10075 0.05
H 3.00680 -1.50461 -0.28005 -0.53
F -0.24991 5.69365 0.46251 -0.26
F 3.62999 3.87384 -1.60981 -0.28
I 5.96096 -2.20610 -0.49664 0.10
F 1.32371 4.84492 1.65587 -0.23
C 2.37157 -4.18319 -1.16581 0.86
F 3.69875 4.70214 0.37456 -0.27
C 3.27255 1.51646 0.88355 -0.41
H -6.95217 2.81028 -0.62376 0.37
C -2.85268 -2.72857 0.65609 -0.18
Na 0.15154 1.68056 -0.73426 1.11
C -6.03974 2.23496 -0.54143 -0.50
F 1.56271 4.88456 -3.10060 -0.28
C 1.32281 -2.26819 -2.13377 -0.74
O 4.28333 -5.25557 -2.08073 -0.61
C 4.64989 1.66144 0.98764 -1.02
F 0.92483 6.64308 -2.01839 -0.29
F -0.35495 4.91239 -2.12592 -0.20
C 0.76201 -2.85201 -0.00795 -0.31
C 3.36983 -5.30200 -1.28355 0.07
H -3.68156 0.20981 2.24768 0.49
C 2.21850 -3.32117 -2.24491 -0.43
C 1.62080 -3.94196 -0.02161 -0.86
F 3.51473 6.00586 -1.33008 -0.28
H -3.49461 -5.60433 -1.01050 0.38
C -3.66472 0.75981 -0.32600 -0.26
C -0.90220 0.37151 4.17180 -0.68
H -3.37434 -4.70596 1.29007 0.40
H -3.02881 -4.12582 -2.93708 0.40
```

Entry 2:
ORCA calculation (ωB97M-V/def2-TZVPD) on a molecular structure, C8H9Cl3O3 in a non-equilibrium geometry.

The gap between HOMO and LUMO comes out at 9.451 eV. As for the energy above the lowest of the compared OMol25 structures with the same formula, charge and spin: 0.0 kcal/mol. The total energy comes out at -52149.2452 eV.

Geometry as XYZ:
```
23
Properties=species:S:1:pos:R:3:mulliken_charge:R:1
C -0.96857 -0.03075 2.04648 -1.75
C 1.25545 0.46960 -0.79850 -0.06
O 1.91684 -0.67370 1.33419 -0.54
Cl 1.20554 -3.30765 0.73082 -0.15
H 0.40573 2.89045 -2.23723 0.39
O 2.28398 0.88214 -1.30023 -0.58
C 1.02945 -0.52897 0.28566 0.40
Cl 0.89507 -2.40824 -1.79605 -0.17
H -2.04975 0.16811 2.07862 0.44
O -1.14396 0.68551 -0.27873 -0.43
C -0.11234 2.59509 -1.38163 -1.58
H -0.39928 0.84300 -2.32421 0.15
H 2.55771 0.01359 1.21810 0.39
H -0.60171 -0.84731 2.60107 0.46
H -1.14549 2.93920 -1.56668 0.37
C -0.74046 -0.29123 0.62237 1.09
Cl -1.74140 -2.91275 1.13214 -0.16
C 0.54835 -1.98567 -0.20401 0.77
H -0.74825 0.99962 2.28922 0.39
C -0.14493 1.01430 -1.23934 0.49
H -1.55668 -1.82655 -0.81638 0.36

[Completed]
C -4.82874 2.89030 -0.38893 -0.70
C -2.59059 -1.89049 -0.42565 0.49
H 3.80209 -7.13743 -0.53711 0.25
H 6.54746 0.69705 0.66473 0.42
C -3.17433 -4.06125 0.44351 -0.76
H 5.06289 2.59281 1.34639 0.48
H -2.42065 -1.76828 -2.56329 0.44
H -4.93283 -0.95562 -0.51642 0.47
N 0.61463 -2.02296 -1.03408 0.30
C 5.47056 0.61314 0.60629 -0.36
C 1.07873 5.50165 0.51567 0.45
F 1.64957 6.70987 0.62545 -0.29
H 1.11341 0.23118 3.43615 0.50
H 0.47447 -0.07565 1.12987 0.11
C -3.24261 -4.56438 -0.84660 -0.51
C 1.56075 4.67287 -0.71756 1.13
C -4.89957 0.12536 -0.48142 -0.33
H -7.01643 0.33177 -0.70911 0.41
C -2.24835 0.36578 3.83013 -0.70
H 1.18504 -1.57742 -2.95868 0.45
C 3.11407 4.82877 -0.83253 0.38
C -6.07438 0.85049 -0.58976 -0.92
C -0.31947 0.03633 1.86256 0.16
C 4.87025 -0.54609 0.13983 -0.51
C 0.05968 0.20981 3.18755 -0.90
O 1.20730 3.40682 -0.59460 -1.08
C -2.64972 -2.40748 -1.71834 -0.43
C -2.98341 -3.73521 -1.92855 -0.68
H 2.60864 2.33138 1.14456 0.73
P -2.08778 -0.15524 -0.25062 0.31
H 1.71887 -4.55273 0.86600 0.34
C -2.63037 0.19521 2.50869 -0.10
H 0.17885 -2.62533 0.87901 0.31
C 3.48747 -0.60354 0.07814 0.96
C -1.66712 0.02295 1.51408 0.58
C -3.66102 2.15116 -0.28990 0.49
H 2.80441 -3.47159 -3.14091 0.50
H -4.77832 3.96966 -0.35027 0.50
Cl -2.17515 3.05198 -0.10075 0.05
H 3.00680 -1.50461 -0.28005 -0.53
F -0.24991 5.69365 0.46251 -0.26
F 3.62999 3.87384 -1.60981 -0.28
I 5.96096 -2.20610 -0.49664 0.10
F 1.32371 4.84492 1.65587 -0.23
C 2.37157 -4.18319 -1.16581 0.86
F 3.69875 4.70214 0.37456 -0.27
C 3.27255 1.51646 0.88355 -0.41
H -6.95217 2.81028 -0.62376 0.37
C -2.85268 -2.72857 0.65609 -0.18
Na 0.15154 1.68056 -0.73426 1.11
C -6.03974 2.23496 -0.54143 -0.50
F 1.56271 4.88456 -3.10060 -0.28
C 1.32281 -2.26819 -2.13377 -0.74
O 4.28333 -5.25557 -2.08073 -0.61
C 4.64989 1.66144 0.98764 -1.02
F 0.92483 6.64308 -2.01839 -0.29
F -0.35495 4.91239 -2.12592 -0.20
C 0.76201 -2.85201 -0.00795 -0.31
C 3.36983 -5.30200 -1.28355 0.07
H -3.68156 0.20981 2.24768 0.49
C 2.21850 -3.32117 -2.24491 -0.43
C 1.62080 -3.94196 -0.02161 -0.86
F 3.51473 6.00586 -1.33008 -0.28
H -3.49461 -5.60433 -1.01050 0.38
C -3.66472 0.75981 -0.32600 -0.26
C -0.90220 0.37151 4.17180 -0.68
H -3.37434 -4.70596 1.29007 0.40
H -3.02881 -4.12582 -2.93708 0.40
```

Entry 2:
ORCA calculation (ωB97M-V/def2-TZVPD) on a molecular structure, C8H9Cl3O3 in a non-equilibrium geometry.

The gap between HOMO and LUMO comes out at 9.451 eV. As for the energy above the lowest of the compared OMol25 structures with the same formula, charge and spin: 0.0 kcal/mol. The total energy comes out at -52149.2452 eV.

Geometry as XYZ:
```
23
Properties=species:S:1:pos:R:3:mulliken_charge:R:1
C -0.96857 -0.03075 2.04648 -1.75
C 1.25545 0.46960 -0.79850 -0.06
O 1.91684 -0.67370 1.33419 -0.54
Cl 1.20554 -3.30765 0.73082 -0.15
H 0.40573 2.89045 -2.23723 0.39
O 2.28398 0.88214 -1.30023 -0.58
C 1.02945 -0.52897 0.28566 0.40
Cl 0.89507 -2.40824 -1.79605 -0.17
H -2.04975 0.16811 2.07862 0.44
O -1.14396 0.68551 -0.27873 -0.43
C -0.11234 2.59509 -1.38163 -1.58
H -0.39928 0.84300 -2.32421 0.15
H 2.55771 0.01359 1.21810 0.39
H -0.60171 -0.84731 2.60107 0.46
H -1.14549 2.93920 -1.56668 0.37
C -0.74046 -0.29123 0.62237 1.09
Cl -1.74140 -2.91275 1.13214 -0.16
C 0.54835 -1.98567 -0.20401 0.77
H -0.74825 0.99962 2.28922 0.39
C -0.14493 1.01430 -1.23934 0.49
H -1.55668 -1.82655 -0.81638 0.36